Tuesday, April 26, 2005

Unrelated to this entry: records of crystals
=====
First-principles (PBE) data for a relaxed La4Dy2Sb3N2 crystal, as listed in the Alexandria database.

abc: 13.5061 13.5061 13.5061
angles: 159.39 159.39 29.31
Closest atoms and distances in Å follow each position.
Element x y z (fractional)
La 0.0852 0.5852 0.5000  2 N 2.51
La 0.4148 0.9148 0.5000  2 N 2.51
La 0.5852 0.0852 0.5000  2 N 2.51
La 0.9148 0.4148 0.5000  2 N 2.51
Dy 0.1946 0.1946 0.0000  1 N 2.18
Dy 0.8054 0.8054 0.0000  1 N 2.18
Sb 0.3170 0.3170 0.0000  5 Dy 3.20-3.43, 4 La 3.52
Sb 0.5000 0.5000 0.0000  8 La 3.28
Sb 0.6830 0.6830 0.0000  5 Dy 3.20-3.43, 4 La 3.52
N 0.1113 0.1113 0.0000  1 Dy 2.18
N 0.8887 0.8887 0.0000  1 Dy 2.18

Computed properties:
calculated volume: 305.1 Å³ per cell
raw total energy: -6.435 eV per atom
ΔE_f (raw): -1.1686 eV per atom
total moment: 0.00 μB/f.u.

~~~~~

Here is Sm3ErPb4 after structural relaxation from the Alexandria database. Energies are from GGA-PBE.

abc: 6.489 6.491 11.217
angles: 90.00 90.00 90.00
Sites, in units of the cell vectors:
Pb (0.249, 0.561, 0.250)
Pb (0.249, 0.561, 0.750)
Pb (0.751, 0.061, 0.750)
Pb (0.999, 0.811, 0.000)
Pb (0.500, 0.810, 0.500)
Pb (0.500, 0.310, 0.000)
Pb (0.001, 0.311, 0.500)
Pb (0.751, 0.061, 0.250)
Sm (0.000, 0.811, 0.500)
Sm (0.251, 0.061, 0.750)
Sm (0.251, 0.061, 0.250)
Sm (0.749, 0.561, 0.750)
Sm (0.000, 0.311, 0.000)
Sm (0.749, 0.561, 0.250)
Er (0.501, 0.310, 0.500)
Er (0.499, 0.810, 0.000)

Space group = Pmn2_1
Calculated density = 10.173 g/cm3
Crystal system = orthorhombic
Volume = 472.4 Å³ per cell
Formation energy from the elements = -0.464 eV/atom

Here is SmEr4Pb2 after structural relaxation from the Alexandria database. Energies are from GGA-PBE.

abc: 5.372 5.372 9.035
angles: 107.29 107.29 90.00
Sites, in units of the cell vectors:
Er (0.182, 0.182, 0.365)
Er (0.818, 0.818, 0.635)
Er (0.500, 0.000, 0.000)
Er (0.000, 0.500, 0.000)
Pb (0.370, 0.370, 0.740)
Pb (0.630, 0.630, 0.260)
Sm (0.000, 0.000, 0.000)

Space group = I4/mmm
Calculated density = 8.661 g/cm3
Crystal system = tetragonal
Volume = 236.6 Å³ per cell
Formation energy from the elements = 0.504 eV/atom

~~~~~

VASP calculation (PBE) on crystalline SmDyMgCo at its relaxed geometry.

POSCAR file:
```
SmDyMgCo
1.0
5.0751 0.0000 0.0000
2.5375 4.3951 0.0000
2.5375 1.4650 4.1438
Mg Dy Co Sm
1 1 1 1
direct
0.5000 0.5000 0.5000
0.2500 0.2500 0.2500
0.0000 0.0000 0.0000
0.7500 0.7500 0.7500
```

Values from the calculation:
The formation energy comes out at 22 meV per atom. Its total energy is -4.4830 eV per atom. The distance to the lowest polymorph of the same formula is 0.1219 eV per atom.

VASP calculation (PBE) on crystalline TbDyMgCo at its relaxed geometry.

POSCAR file:
```
TbDyMgCo
1.0
5.0312 0.0000 0.0000
2.5156 4.3572 0.0000
2.5156 1.4524 4.1080
Dy Mg Tb Co
1 1 1 1
direct
0.2500 0.2500 0.2500
0.5000 0.5000 0.5000
0.7500 0.7500 0.7500
0.0000 0.0000 0.0000
```

Values from the calculation:
=====

Shock Therapy

A recent posting (Shock Therapy) on the Japery tells a powerful story.

**What comes next are crystal structures, not part of the page:**
(1)
{
  "formula": "AlSi2Ni2",
  "functional": "GGA-PBE",
  "state": "relaxed",
  "lattice_angstrom": [[-2.476, 1.070, -0.071], [-2.211, -5.097, 0.307], [-0.021, 0.563, 9.204]],
  "species": ["Al", "Al", "Si", "Si", "Si", "Si", "Ni", "Ni", "Ni", "Ni"],
  "fractional_positions": [[0.000, 0.000, 0.000], [0.000, 0.500, 0.500], [0.000, 0.045, 0.376], [0.000, 0.955, 0.624], [0.000, 0.545, 0.124], [0.000, 0.455, 0.876], [0.500, 0.858, 0.206], [0.500, 0.142, 0.794], [0.500, 0.358, 0.294], [0.500, 0.642, 0.706]],
  "sg": "Pbam (55)",
  "e_form_raw_mev_per_atom": -351.7,
  "crystal_system": "orthorhombic",
  "magnetic_moment_mub_per_fu": 0.0,
  "dft_energy_ev_per_atom": -5.582
}



(2)
{
  "formula": "La3SmH8",
  "functional": "GGA-PBE",
  "state": "relaxed",
  "lattice_angstrom": [[-3.809, 1.649, -3.706], [-2.514, -4.950, 0.381], [-3.184, 1.935, 4.133]],
  "species": ["La", "La", "La", "Sm", "H", "H", "H", "H", "H", "H", "H", "H"],
  "fractional_positions": [[0.500, 0.500, 0.000], [0.500, 0.000, 0.500], [0.000, 0.500, 0.500], [0.000, 0.000, 0.000], [0.243, 0.243, 0.757], [0.243, 0.757, 0.243], [0.757, 0.243, 0.243], [0.757, 0.757, 0.757], [0.757, 0.757, 0.243], [0.757, 0.243, 0.757], [0.243, 0.757, 0.757], [0.243, 0.243, 0.243]],
  "sg": "Pm-3m (221)",
  "crystal_system": "cubic",
  "magnetic_moment_mub_per_fu": 0.0,
  "dft_energy_ev_per_atom": -4.521
}



(3)
{
  "formula": "BeCoSnRh",
  "functional": "GGA-PBE",
  "state": "relaxed",
  "lattice_angstrom": [[4.227, 0.000, 0.000], [2.114, 3.661, 0.000], [2.114, 1.220, 3.452]],
  "species": ["Co", "Rh", "Sn", "Be"],
  "fractional_positions": [[0.000, 0.000, 0.000], [0.500, 0.500, 0.500], [0.750, 0.750, 0.750], [0.250, 0.250, 0.250]],
  "sg": "F-43m (216)",
  "delta_e_f_mev_per_atom": -209,
  "crystal_system": "cubic",
  "magnetic_moment_mub_per_fu": 0.0,
  "dft_energy_ev_per_atom": -5.755
}



(4)
{
  "formula": "LaZnIr",
  "functional": "GGA-PBE",
  "state": "relaxed",
  "lattice_angstrom": [[-2.928, -0.864, -0.300], [1.924, -0.252, -2.376], [1.766, -6.731, 2.146]],
  "species": ["Ir", "La", "Zn"],
  "fractional_positions": [[0.000, 0.000, 0.974], [0.667, 0.333, 0.320], [0.333, 0.667, 0.706]],
  "sg": "P3m1 (156)",
  "delta_e_f_mev_per_atom": 116,
  "crystal_system": "trigonal",
  "magnetic_moment_mub_per_fu": 0.0,
  "dft_energy_ev_per_atom": -4.905
}



(5)
{
  "formula": "LiGa3Ni2",
  "functional": "GGA-PBE",
  "state": "relaxed",
  "lattice_angstrom": [[5.054, 0.000, 0.000], [0.000, 5.889, 0.704], [0.000, -1.279, 5.792]],
  "species": ["Li", "Li", "Ga", "Ga", "Ga", "Ga", "Ga", "Ga", "Ni", "Ni", "Ni", "Ni"],
  "fractional_positions": [[0.250, 0.423, 0.423], [0.750, 0.577, 0.577], [0.750, 0.433, 0.093], [0.750, 0.093, 0.433], [0.250, 0.567, 0.907], [0.750, 0.933, 0.933], [0.250, 0.067, 0.067], [0.250, 0.907, 0.567], [0.500, 0.773, 0.227], [0.000, 0.773, 0.227], [0.000, 0.227, 0.773], [0.500, 0.227, 0.773]],
  "sg": "Cmcm (63)",
  "delta_e_f_mev_per_atom": -328,
  "crystal_system": "orthorhombic",

FT, The Public Square - While We're At It
“Oh, not that old line again.” Such is the frequent response when the claim is made that the demolition of the marriage-based family really began with the widespread acceptance of artificial contraception and its separation of sex from procreation. Now, however, “that old line” is getting new and more respectful attention. Soft Patriarchs, New Men: How Christianity Shapes Fathers and Husbands has been receiving well-deserved praise (see review, FT March). The author is W. Bradford Wilcox, a sociologist at the University of Virginia, and he connects his argument to the question of contraception in an article in the ecumenical magazine Touchstone, “The Facts of Life and Marriage: Social Science and the Vindication of Christian Moral Teaching.” He notes the well-orchestrated opposition to Paul VI’s 1968 encyclical on human sexuality, Humanae Vitae, and contends that current scholarship debunks the opponents and underscores the prescience of the Pope in foreseeing the consequences of contraception. From the Bible through the Didache and the sixteenth-century Protestant Reformers, Christians were unanimous in affirming the integral relationship between love, sex, and openness to new life. The first break in the tradition came with the approval of contraception by the Church of England in 1930. All these years later, Wilcox is encouraged by a changing scholarly consensus on marriage and family, but also by a rethinking of contraception among Christians. “There is a new openness among Evangelical Protestant scholars and leaders to the truth and wisdom of the ancient Christian teaching against contraception. Among others, Albert Mohler, president of the Southern Baptist Seminary, Reformed Theological Seminary professor Harold O. J. Brown, and Evangelical theologian J. I. Packer have raised serious concerns about the moral permissibility and social consequences of contraception.” He quotes Mohler who wrote in these pages: “Thirty years of sad experience demonstrate that Humanae Vitae [correctly] sounded the alarm, warning of a contraceptive mentality that would set loose immeasurable evil as modern birth control methods allowed seemingly risk-free sex outside the integrity of the marital bond. At the same time, it allowed married couples to completely sever the sex act from procreation, and God’s design for the marital bond. . . . Standing against the spirit of the age, evangelicals and Roman Catholics must affirm that children are God’s good gift and blessings to the marital bond. Further, we must affirm that marriage falls short of God’s design when husband and wife are not open to the gift and stewardship of children.” The radical destabilizing of sexual morality in recent decades, Wilcox notes, has had devastating consequences for the poor, for whom all of life, including family life, is precarious. This, he says, is the moment for Christian scholars and leaders of all kinds to take the lead in proposing a better way. “We must make it crystal clear that the church’s commitment to the poor requires nothing less than a vigorous proclamation of the church’s true and beautiful teaching about sex and marriage. In other words, we must make it clear that the preferential option for the poor begins in the home.”

1 comment:

Fred said...

Wow! "we must make it clear that the preferential option for the poor begins in the home.”